**Assignment**
Reproduce the part of the material below that starts with the line with "_cell_length_a 5.335" and stops after the one with "'x,-y+1/2,z'".
**Entries**
____________
Structure and computed powder diffraction line list of HfCrO3 (a structure optimized by DFT (GGA+U); Cu Kα (weighted mean of Kα1 and Kα2)).
No peak broadening, texture or thermal motion is included.

```
data_HfCrO3
_space_group_name_H-M_alt 'P n m a'
_space_group_IT_number 62
_cell_length_a 5.335
_cell_length_b 9.376
_cell_length_c 4.925
_cell_angle_alpha 90.00
_cell_angle_beta 90.00
_cell_angle_gamma 90.00
loop_
_space_group_symop_operation_xyz
'x,y,z'
'-x,-y,-z'
'-x+1/2,-y,z+1/2'
'x+1/2,y,-z+1/2'
'x+1/2,-y+1/2,-z+1/2'
'-x+1/2,y+1/2,z+1/2'
'-x,y+1/2,-z'
'x,-y+1/2,z'
loop_
_atom_site_label
_atom_site_fract_x
_atom_site_fract_y
_atom_site_fract_z
Hf1 0.038 0.250 0.048
Cr1 0.000 0.000 0.500
O1 0.152 0.750 0.301
O2 0.225 0.605 0.782
```

Main lines, in order of falling intensity (10 to 90 degrees two-theta):
31.22°, I 100, (1 2 1)
18.93°, I 31, (0 2 0)
24.60°, I 22, (1 0 1)
38.40°, I 15, (0 4 0)
51.93°, I 14, (2 4 0)
33.60°, I 13, (2 0 0)
50.44°, I 13, (2 0 2)
58.60°, I 12, (3 2 1)
65.01°, I 12, (1 6 1)
41.52°, I 11, (1 1 2)

~~~~~

[1]
Pm2CdHg2Pd5: simulated X-ray diffraction stick pattern (CuKα), based on a GGA-PBE-relaxed structure.
No peak broadening, texture or thermal motion is included.

Cell and atoms:
a b c (Å): 10.214 10.214 3.965
angles (deg): 90.00 90.00 90.00
Atoms (fractional coordinates):
Pm1 0.169 0.331 0.000
Pm2 0.331 0.831 0.000
Pm3 0.669 0.169 0.000
Pm4 0.831 0.669 0.000
Cd1 0.000 0.000 0.000
Cd2 0.500 0.500 0.000
Hg1 0.130 0.630 0.000
Hg2 0.370 0.130 0.000
Hg3 0.630 0.870 0.000
Hg4 0.870 0.370 0.000
Pd1 0.000 0.500 0.500
Pd2 0.041 0.800 0.500
Pd3 0.200 0.041 0.500
Pd4 0.300 0.541 0.500
Pd5 0.459 0.300 0.500
Pd6 0.500 0.000 0.500
Pd7 0.541 0.700 0.500
Pd8 0.700 0.459 0.500
Pd9 0.800 0.959 0.500
Pd10 0.959 0.200 0.500

The 12 most intense peaks (10 to 80 degrees two-theta), sorted by position:
- d 3.230, 27.62 deg, rel. 113
- d 2.670, 33.57 deg, rel. 192
- d 2.504, 35.86 deg, rel. 1000
- d 2.477, 36.26 deg, rel. 179
- d 2.408, 37.35 deg, rel. 276
- d 2.305, 39.08 deg, rel. 287
- d 2.147, 42.09 deg, rel. 325
- d 1.982, 45.77 deg, rel. 253
- d 1.806, 50.55 deg, rel. 107
- d 1.547, 59.78 deg, rel. 185
- d 1.530, 60.49 deg, rel. 136
- d 1.270, 74.72 deg, rel. 112

***

[2]
Cu3As2H2PbO10: simulated X-ray diffraction stick pattern (CuKα), based on a GGA-PBE-relaxed structure.
No peak broadening, texture or thermal motion is included.

Cell and atoms:
a b c (Å): 5.955 5.955 14.145
angles (deg): 103.60 103.60 60.79
Atoms (fractional coordinates):
Cu1 0.000 0.000 0.000
Cu2 0.000 0.000 0.500
Cu3 0.000 0.500 0.000
Cu4 0.500 0.000 0.500
Cu5 0.500 0.500 0.000
Cu6 0.500 0.500 0.500
As1 0.007 0.591 0.643
As2 0.409 0.993 0.857
As3 0.591 0.007 0.143
As4 0.993 0.409 0.357
H1 0.094 0.647 0.862
H2 0.353 0.906 0.638
H3 0.647 0.094 0.362
H4 0.906 0.353 0.138
Pb1 0.242 0.758 0.250
Pb2 0.758 0.242 0.750
O1 0.041 0.269 0.238
O2 0.125 0.149 0.916
O3 0.144 0.646 0.937
O4 0.149 0.125 0.416
O5 0.168 0.587 0.400
O6 0.269 0.041 0.738
O7 0.322 0.414 0.622
O8 0.354 0.856 0.563
O9 0.413 0.832 0.100
O10 0.414 0.322 0.122
O11 0.586 0.678 0.878
O12 0.587 0.168 0.900
O13 0.646 0.144 0.437
O14 0.678 0.586 0.378
O15 0.731 0.959 0.262
O16 0.832 0.413 0.600
O17 0.851 0.875 0.584
O18 0.856 0.354 0.063
O19 0.875 0.851 0.084
O20 0.959 0.731 0.762

The 12 most intense peaks (10 to 80 degrees two-theta), sorted by position:
- d 5.056, 17.54 deg, rel. 274
- d 4.602, 19.29 deg, rel. 377
- d 3.246, 27.48 deg, rel. 527
- d 3.186, 28.01 deg, rel. 1000
- d 2.976, 30.03 deg, rel. 440
- d 2.755, 32.50 deg, rel. 648
- d 2.700, 33.19 deg, rel. 364
- d 2.561, 35.04 deg, rel. 380
- d 2.528, 35.51 deg, rel. 349
- d 2.301, 39.15 deg, rel. 373
- d 1.835, 49.67 deg, rel. 231
- d 1.488, 62.40 deg, rel. 245
____________
**Result**
_cell_length_a 5.335
_cell_length_b 9.376
_cell_length_c 4.925
_cell_angle_alpha 90.00
_cell_angle_beta 90.00
_cell_angle_gamma 90.00
loop_
_space_group_symop_operation_xyz
'x,y,z'
'-x,-y,-z'
'-x+1/2,-y,z+1/2'
'x+1/2,y,-z+1/2'
'x+1/2,-y+1/2,-z+1/2'
'-x+1/2,y+1/2,z+1/2'
'-x,y+1/2,-z'
'x,-y+1/2,z'